**Request:**
Reproduce the data further down verbatim.

**Excerpt:**
........
{"formula": "Cs2NdAuCl6", "functional": "PBE", "state": "relaxed", "cell": [[0.000, 5.518, 5.518], [5.518, 0.000, 5.518], [5.518, 5.518, 0.000]], "species": ["Cs", "Cs", "Nd", "Au", "Cl", "Cl", "Cl", "Cl", "Cl", "Cl"], "fractional_positions": [[0.250, 0.250, 0.250], [0.750, 0.750, 0.750], [0.000, 0.000, 0.000], [0.500, 0.500, 0.500], [0.248, 0.248, 0.752], [0.248, 0.752, 0.248], [0.248, 0.752, 0.752], [0.752, 0.248, 0.248], [0.752, 0.248, 0.752], [0.752, 0.752, 0.248]], "dft_energy_ev_per_atom": -3.783, "spacegroup": "Fm-3m (225)", "formation_energy_mev_per_atom": -2059}

~~~~~

[1]
{
  "formula": "Sm3Dy",
  "functional": "r2SCAN",
  "state": "relaxed",
  "lattice": [[7.3553, 0.0000, 0.0000], [-3.6776, 6.3698, 0.0000], [0.0000, 0.0000, 5.8736]],
  "species": ["Sm", "Sm", "Sm", "Sm", "Sm", "Sm", "Dy", "Dy"],
  "fractional_positions": [[0.1685, 0.3369, 0.2500], [0.1685, 0.8315, 0.2500], [0.3369, 0.1685, 0.7500], [0.6631, 0.8315, 0.2500], [0.8315, 0.1685, 0.7500], [0.8315, 0.6631, 0.7500], [0.3333, 0.6667, 0.7500], [0.6667, 0.3333, 0.2500]],
  "polymorph_energy_mev_per_atom": 8,
  "space_group": "P6_3/mmc, No. 194",
  "dft_energy_ev_per_atom": -30.2841
}



[2]
{
  "formula": "Sm3Dy",
  "functional": "r2SCAN",
  "state": "relaxed",
  "lattice": [[5.1413, 0.0000, 0.0000], [0.0000, 5.1413, 0.0000], [0.0000, 0.0000, 5.1413]],
  "species": ["Sm", "Sm", "Sm", "Dy"],
  "fractional_positions": [[0.0000, 0.0000, 0.5000], [0.0000, 0.5000, 0.0000], [0.5000, 0.0000, 0.0000], [0.5000, 0.5000, 0.5000]],
  "polymorph_energy_mev_per_atom": 0,
  "space_group": "Pm-3m, No. 221",
  "dft_energy_ev_per_atom": -30.2923
}



[3]
{
  "formula": "SmDy3",
  "functional": "r2SCAN",
  "state": "relaxed",
  "lattice": [[-2.5234, 2.5234, 5.0399], [2.5234, -2.5234, 5.0399], [2.5234, 2.5234, -5.0399]],
  "species": ["Sm", "Dy", "Dy", "Dy"],
  "fractional_positions": [[0.0000, 0.0000, 0.0000], [0.2500, 0.7500, 0.5000], [0.5000, 0.5000, 0.0000], [0.7500, 0.2500, 0.5000]],
  "polymorph_energy_mev_per_atom": 26,
  "space_group": "I4/mmm, No. 139",
  "dft_energy_ev_per_atom": -31.3824
}
........

**Worked solution:**
{"formula": "Cs2NdAuCl6", "functional": "PBE", "state": "relaxed", "cell": [[0.000, 5.518, 5.518], [5.518, 0.000, 5.518], [5.518, 5.518, 0.000]], "species": ["Cs", "Cs", "Nd", "Au", "Cl", "Cl", "Cl", "Cl", "Cl", "Cl"], "fractional_positions": [[0.250, 0.250, 0.250], [0.750, 0.750, 0.750], [0.000, 0.000, 0.000], [0.500, 0.500, 0.500], [0.248, 0.248, 0.752], [0.248, 0.752, 0.248], [0.248, 0.752, 0.752], [0.752, 0.248, 0.248], [0.752, 0.248, 0.752], [0.752, 0.752, 0.248]], "dft_energy_ev_per_atom": -3.783, "spacegroup": "Fm-3m (225)", "formation_energy_mev_per_atom": -2059}

~~~~~

[1]
{
  "formula": "Sm3Dy",
  "functional": "r2SCAN",
  "state": "relaxed",
  "lattice": [[7.3553, 0.0000, 0.0000], [-3.6776, 6.3698, 0.0000], [0.0000, 0.0000, 5.8736]],
  "species": ["Sm", "Sm", "Sm", "Sm", "Sm", "Sm", "Dy", "Dy"],
  "fractional_positions": [[0.1685, 0.3369, 0.2500], [0.1685, 0.8315, 0.2500], [0.3369, 0.1685, 0.7500], [0.6631, 0.8315, 0.2500], [0.8315, 0.1685, 0.7500], [0.8315, 0.6631, 0.7500], [0.3333, 0.6667, 0.7500], [0.6667, 0.3333, 0.2500]],
  "polymorph_energy_mev_per_atom": 8,
  "space_group": "P6_3/mmc, No. 194",
  "dft_energy_ev_per_atom": -30.2841
}



[2]
{
  "formula": "Sm3Dy",
  "functional": "r2SCAN",
  "state": "relaxed",
  "lattice": [[5.1413, 0.0000, 0.0000], [0.0000, 5.1413, 0.0000], [0.0000, 0.0000, 5.1413]],
  "species": ["Sm", "Sm", "Sm", "Dy"],
  "fractional_positions": [[0.0000, 0.0000, 0.5000], [0.0000, 0.5000, 0.0000], [0.5000, 0.0000, 0.0000], [0.5000, 0.5000, 0.5000]],
  "polymorph_energy_mev_per_atom": 0,
  "space_group": "Pm-3m, No. 221",
  "dft_energy_ev_per_atom": -30.2923
}



[3]
{
  "formula": "SmDy3",
  "functional": "r2SCAN",
  "state": "relaxed",
  "lattice": [[-2.5234, 2.5234, 5.0399], [2.5234, -2.5234, 5.0399], [2.5234, 2.5234, -5.0399]],
  "species": ["Sm", "Dy", "Dy", "Dy"],
  "fractional_positions": [[0.0000, 0.0000, 0.0000], [0.2500, 0.7500, 0.5000], [0.5000, 0.5000, 0.0000], [0.7500, 0.2500, 0.5000]],
  "polymorph_energy_mev_per_atom": 26,
  "space_group": "I4/mmm, No. 139",
  "dft_energy_ev_per_atom": -31.3824
}